File =
/*
# 1
Computed, not measured: HgNCl after structural relaxation at the PBE level of DFT.

Summary:
- Excess energy over the best structure of this formula in the dataset: 788 meV per atom
- Total magnetic moment: 0.00 μB/atom
- Space group: No. 62

abc: 6.8443 7.7009 10.6885
angles: 90.00 90.00 90.00
With the nearest neighbours (Å) after each atom.
Fractional positions:
N  0.7500  0.0456  0.3889  1 Cl 1.79
Hg  0.5000  0.5000  0.5000  2 N 2.12
Cl  0.7500  0.3872  0.2339  1 N 1.79
Hg  0.5000  0.0000  0.5000  2 N 2.11
Hg  0.5000  0.0000  0.0000  2 N 2.12
N  0.2500  0.6273  0.4276  1 Cl 1.78
Cl  0.7500  0.8872  0.2661  1 N 1.79
Cl  0.2500  0.6149  0.2615  1 N 1.78
N  0.2500  0.9544  0.6111  1 Cl 1.79
Cl  0.2500  0.6128  0.7661  1 N 1.79
N  0.2500  0.4544  0.8889  1 Cl 1.79
N  0.2500  0.1273  0.0724  1 Cl 1.78
Hg  0.0000  0.5000  0.5000  2 N 2.12
N  0.7500  0.5456  0.1111  1 Cl 1.79
N  0.7500  0.3727  0.5724  1 Cl 1.78
Hg  0.0000  0.5000  0.0000  2 N 2.11
Hg  0.0000  0.0000  0.0000  2 N 2.12
N  0.7500  0.8727  0.9276  1 Cl 1.78
Cl  0.2500  0.1128  0.7339  1 N 1.79
Cl  0.2500  0.1149  0.2385  1 N 1.78
Cl  0.7500  0.8851  0.7615  1 N 1.78
Hg  0.5000  0.5000  0.0000  2 N 2.11
Cl  0.7500  0.3851  0.7385  1 N 1.78
Hg  0.0000  0.0000  0.5000  2 N 2.11


# 2
Computed, not measured: RbGaCl4 after structural relaxation at the PBE level of DFT.

Summary:
- Space group: No. 62

abc: 7.2793 9.5887 11.4395
angles: 90.00 90.00 90.00
With the nearest neighbours (Å) after each atom.
Fractional positions:
Cl  0.4952  0.6756  0.9212  1 Ga 2.21
Cl  0.2500  0.5462  0.2823  1 Ga 2.20
Cl  0.7500  0.4538  0.7177  1 Ga 2.20
Ga  0.7500  0.3112  0.5673  4 Cl 2.19-2.21
Cl  0.9952  0.3244  0.0788  1 Ga 2.21
Ga  0.2500  0.6888  0.4327  4 Cl 2.19-2.21
Cl  0.7500  0.0462  0.2177  1 Ga 2.20
Cl  0.2500  0.5787  0.6005  1 Ga 2.19
Rb  0.7500  0.6729  0.1823  6 Cl 3.46-3.61
Cl  0.4952  0.8244  0.4212  1 Ga 2.21
Ga  0.2500  0.8112  0.9327  4 Cl 2.19-2.21
Cl  0.7500  0.4213  0.3995  1 Ga 2.19
Rb  0.7500  0.8271  0.6823  6 Cl 3.46-3.61
Cl  0.2500  0.9213  0.1005  1 Ga 2.19
Rb  0.2500  0.1729  0.3177  6 Cl 3.46-3.61
Rb  0.2500  0.3271  0.8177  6 Cl 3.46-3.61
Ga  0.7500  0.1888  0.0673  4 Cl 2.19-2.21
Cl  0.5048  0.3244  0.0788  1 Ga 2.21
Cl  0.0048  0.8244  0.4212  1 Ga 2.21
Cl  0.2500  0.9538  0.7823  1 Ga 2.20
Cl  0.0048  0.6756  0.9212  1 Ga 2.21
Cl  0.5048  0.1756  0.5788  1 Ga 2.21
Cl  0.9952  0.1756  0.5788  1 Ga 2.21
Cl  0.7500  0.0787  0.8995  1 Ga 2.19


# 3
Computed, not measured: Na6CaTi3Si2P4O24 after structural relaxation at the PBE level of DFT.

Summary:
- Excess energy over the best structure of this formula in the dataset: 0 meV per atom
- Total magnetic moment: 0.00 μB/atom

abc: 15.6355 8.9712 8.9889
angles: 89.77 125.10 90.34
With the nearest neighbours (Å) after each atom.
Fractional positions:
O  0.9796  0.6432  0.4203  1 Si 1.64, 1 Ti 1.82
Si  0.3603  0.0971  0.2541  4 O 1.59-1.68
Ca  0.6029  0.7400  0.0611  5 O 2.20-2.31
Na  0.1779  0.0676  0.7692  5 O 2.36-2.64
O  0.5417  0.1715  0.0636  1 P 1.56
O  0.9182  0.8541  0.7564  1 P 1.56
O  0.7460  0.3538  0.7209  1 P 1.55
O  0.3636  0.8429  0.6007  1 P 1.59
P  0.8514  0.4000  0.7554  4 O 1.52-1.59
O  0.7465  0.8057  0.7648  1 Si 1.66
P  0.9957  0.0366  0.2605  4 O 1.52-1.59
O  0.1526  0.4004  0.9295  1 Si 1.60
Na  0.2513  0.2473  0.4961  6 O 2.38-2.52
Si  0.8603  0.5971  0.2541  4 O 1.59-1.68
O  0.5742  0.5402  0.8979  1 P 1.52
Si  0.1518  0.4021  0.7506  4 O 1.60-1.70
O  0.4289  0.5486  0.5618  1 P 1.57
O  0.1475  0.6948  0.4047  1 P 1.54
Na  0.8014  0.9376  0.2428  6 O 2.31-2.57
P  0.1453  0.6244  0.2461  4 O 1.54-1.56
Ti  0.8928  0.7567  0.9389  5 O 1.89-2.08
P  0.9944  0.9473  0.7344  4 O 1.52-1.58
O  0.0383  0.3222  0.5785  1 Si 1.70, 1 Ti 1.89
O  0.3573  0.1344  0.0675  1 Si 1.68
P  0.4944  0.4473  0.7344  4 O 1.52-1.58
O  0.4182  0.3541  0.7564  1 P 1.56
O  0.3549  0.9128  0.2661  1 Si 1.66
Na  0.3014  0.4376  0.2428  6 O 2.31-2.57
Ca  0.1029  0.2400  0.0611  5 O 2.20-2.31
*/
Exercise =
Could you restate the data earlier on from the line with "0.8541" to the end verbatim?
Done =
O  0.9182  0.8541  0.7564  1 P 1.56
O  0.7460  0.3538  0.7209  1 P 1.55
O  0.3636  0.8429  0.6007  1 P 1.59
P  0.8514  0.4000  0.7554  4 O 1.52-1.59
O  0.7465  0.8057  0.7648  1 Si 1.66
P  0.9957  0.0366  0.2605  4 O 1.52-1.59
O  0.1526  0.4004  0.9295  1 Si 1.60
Na  0.2513  0.2473  0.4961  6 O 2.38-2.52
Si  0.8603  0.5971  0.2541  4 O 1.59-1.68
O  0.5742  0.5402  0.8979  1 P 1.52
Si  0.1518  0.4021  0.7506  4 O 1.60-1.70
O  0.4289  0.5486  0.5618  1 P 1.57
O  0.1475  0.6948  0.4047  1 P 1.54
Na  0.8014  0.9376  0.2428  6 O 2.31-2.57
P  0.1453  0.6244  0.2461  4 O 1.54-1.56
Ti  0.8928  0.7567  0.9389  5 O 1.89-2.08
P  0.9944  0.9473  0.7344  4 O 1.52-1.58
O  0.0383  0.3222  0.5785  1 Si 1.70, 1 Ti 1.89
O  0.3573  0.1344  0.0675  1 Si 1.68
P  0.4944  0.4473  0.7344  4 O 1.52-1.58
O  0.4182  0.3541  0.7564  1 P 1.56
O  0.3549  0.9128  0.2661  1 Si 1.66
Na  0.3014  0.4376  0.2428  6 O 2.31-2.57
Ca  0.1029  0.2400  0.0611  5 O 2.20-2.31